2012年11月30日 星期五

「血」染悉尼多個海灘 背後的原理是甚麼?

「血」染悉尼多個海灘      121128



  (當地時間1127)澳洲悉尼著名的邦迪海灘(Bondi Beach)因為有大量藻類增生,驚現紅潮,令到海水變血紅色。當地政府趕緊封閉多處沙灘,並對海水抽樣檢查,相信是由於藻類作怪所致。




Bondi Beach Turns Bloody Red in Australia

Australia beaches turned blood red   November 27, 2012

   Popular beaches around SydneyAustralia had to be closed on Tuesday after a huge algae bloom turned the water deep red.

   Experts say the thick red algae is a natural phenomenon, sometimes caused by adverse weather conditions.

   The blooms, which are often referred to as "red tides" or "sea sparkle," are more common during the spring and autumn months when the water temperature is warmer and there are greater movements in ocean currents.

   Although it has no toxic effects, people are advised to avoid swimming in areas with discoloured water as the algae can be high in ammonia and can cause skin irritation. 


  近日澳洲悉尼著名的邦迪海灘(Bondi Beach)出現紅潮,海灘一片血紅。沙灘上都變成一片血紅色,有如染上顏料般,還飄來陣陣魚腥味。




  參考網上文章【赤潮(紅潮)與藻毒Red Tides】(陳衍昌 海大養殖系,參考連結:http://ind.ntou.edu.tw/~b0232/redtide.htm

  要形成赤潮(紅潮)必須「天時地利人和」才能發生。因為在赤潮形成前幾天必須有陸上的降雨,然後經由河流將含鐵的腐質酸(humic acid)帶入河口,其次在赤潮初形成時,要有充分陽光並有向陸上吹的風,而且海況亦須配合適度的潮水及有湧昇流。而潮水及湧昇流又和潮汐及季節相關。因此,赤潮常在春夏交接之間,於大雨過後,天氣放晴時出現於河口海域,是有以上脈絡可尋的。

  那麼產生紅潮的養份--含鐵的腐質酸(humic acid)--從哪兒來?





半年融化1183萬平方公里 北極海冰消失面積比美國大   20121129

  聯合國世界氣象組織(WMO)在卡達首都杜哈舉行氣候會議時表示,今年3月至9月期間,北極海冰消融1183萬平方公里,比整個美國還大,而WMO秘書長賈侯(Michel Jarraud)也預告「溫室氣體濃度會再度破紀錄」,似乎暗示全球暖化現象是人類無法挽回的危機。





  早在今年9月已有新聞談及「北極冰面今夏縮至歷來最小   2012-09-20」,當北極冰層的融化將加速空氣變暖,導致格陵蘭島的冰川融化,使海平面上升。從前北極冰層能夠反射陽光,現在冰層融化後,海洋吸收太陽熱量使空氣溫度上升,而海洋吸收太陽熱量使空氣溫度上升後,又會使各地出現各種破紀錄的極端氣候。








資料來源:Planet X 與 2012


美軍無人機空襲巴基斯坦西北部致死3      2012-11-29







  過去曾有報導指無人機造成巴基斯坦的平民嚴重傷亡,見:「報告指美國無人機造成平民嚴重傷亡 2012925」。

  而巴基斯坦內政部長拉赫曼.馬利克(Rehman Malik)稱,美國無人機在巴基斯坦炸死的人中80%都是無辜平民,見:「巴基斯坦官員稱美無人機空襲死者中有8成無辜平」。


資料來源:Planet X 與 2012

Strange elite exodus: Planet X cometh, see how they run

Why so many simultaneous resignations?
 Is there something big about to go down or rather “come down"?
Now that Planet X can be seen as a Second Sun in the sky with the naked eye, the abrupt exodus of the so-called elite is making news. Is the cover-up cracking now that major earth changes and second sun sightings are undeniably upon us all?
As earth changes continue to assault countries of the world, creating drought and deluge, intense storms, booming, shifting, and cracking land, the cover-up attempts continue. But the news of Planet X in the universe can no longer be suppressed, even though there is no main stream media coverage of the second sun sightings around the world.
What will the wealthy and powerful do as the last weeks before the pole shift arrive and earth changes wreak havoc on their comfortable lifestyles and the ability to control?
When wooden ships were in common use, there were always rats on board. If the rats knew that the ship was in trouble and sinking, they would jump off and swim away to safety. Unlike the captain and sailors trying to save the ship, the rats would just run away. And, so the phrase “like rats deserting a sinking ship” was born, referring to those who ditch what they see as a lost cause to save themselves.
Do the so-called elite believe that end times are near? Are they quietly leaving the scene on their Lear jets and literally and figuratively heading for the hills. Like rats deserting a sinking ship, are they slipping away in the dead of night to their secret and hopefully safe enclaves.
In recent days, a conspicuous number of high-level officials have tendered resignations, many within the past three days alone.
  • (Sat, Nov 11) – George Entwistle resigns as BBC Director General, after holding the job for only 53 days (will receive a £450,000, equivalent to one year’s salary)
  • (Fri, Nov 10) – Canada – Laval Mayor Gilles Vaillancourt resigns under a cloud of suspicion
  • (Fri, Nov 10) – Canada – Mayor Michael Applebaum resigns from Montréal’s executive committee
  • (Fri, Nov 10) – Canada – Robert Dutton, President of Canada's largest network of home-improvement retailers, steps down
  • (Thurs, Nov 9) – Christopher Kubasik, former Lockheed Martin President/COO and “incoming” CEO, ousted
  • (Thurs, Nov 9) – Canada – PetroShale announces resignation of Director Daniel Jarvie
  • (Fri, Nov 9) – Roger Ortiz' resignation official, Cameron County, Texas, elections commission administrator, resigns
  • (Thurs, Nov 8) – Billionaire Frank Stronach (est. net worth of more than $1.7 billion) steps down from Magna International board chairmanship
  • (Tues, Nov 6) –CEO of South Africa’s Stortec, Tim Knowles, renounced his position saying it is time for a change(Mon, Nov 5) – Canada – Mayor of Montreal Gérald Tremblay resigns, announcing he is leaving politics.
  • (Tues, Oct 30) – Ashok Mittal, Head of India Investment Banking for Swiss Bank UBS resigns. He had been head of India Investment Banking since June of last year .
  • (Tues, Oct 16) – Citigroup CEO Vikram Pandit abruptly resigns, receiving a bonus of $6.7 million for work he did this year.
  • (Mon, Oct 15) – Canada – Ontario Premier Dalton McGuinty unexpectedly resigns
The word about Planet X spread among the wealthy and powerful long ago, giving them a head start to prepare for the pole shift. So, where were they going?
Well, they are leaving Florida, New York City, and coastline areas like Houston and other seaside locations to “head for the hills,” literally and figuratively – into the hills of Alberta, Canada or the Ozarks, into rock cavities built especially for them, and well stocked with supplies. They are avoiding places expected to be crowded, from overpopulated areas such as the East Coast of the US, Europe, and the Pacific Rim, as well as countries dominated by Islam to avoid culture clash and perhaps resultant hostility.
"Bunkering" into mountains has been a favorite theme since the days of Mt. Weather. The so-called elite, once arrogantly assumed that bunkering into mountainsides would provide fail-safe protection. However, given the projected size of pole shift earthquakes (in the 9.0 magnitude range worldwide), mountain building and continental rifts tearing apart, underground facilities will hardly be a safe haven.
As major earth changes steadily increase, with a steady uptick in earthquakes and volcanic activity, a discernible earth wobble, and wild weather extremes and punishing storms, maintaining the cover-up is impossible. Planet X and earth changes are being openly discussed worldwide.
But, what about the rest of us who are not counted among the so-called "elite"? What of us? What are we to do? Should we just go on with our lives, residing in known danger zones? Should we remain living on coastlines or in cities to drown or die as cities flood and skyscrapers come crashing down?
Yes. This is what the so-called elite would have us do, at least until they are safely tucked away from masses and the coming chaos.
Such is the nature of the cover-up.
Original post @ http://www.examiner.com/article/strange-elite-exodus-planet-x-cometh-see-how-they-run
Original Source : 2012 Glorious Hope - Soli Deo Gloria



按照聖經所言,撒旦在地球上的國度有7個,按歷史年代如下: 巴比倫、亞述、新巴比倫、波斯瑪代、古希臘、古羅馬和仍未出現的敵基督國度(美國+歐洲聯盟)。這些歷史顯赫一時的帝國。這些帝國住部是以軍事實力強大、常以武力征服別國,擴張版圖而聞名。


「這 像 的 頭 是 精 金 的 、 胸 膛 和 膀 臂 是 銀 的 、 肚 腹 和 腰 是 銅 的 、腿 是 鐵 的 、 腳 是 半 鐵 半 泥 的。」


「我 被 聖 靈 感 動 、 天 使 帶 我 到 曠 野 去 . 我 就 看 見 一 個 女 人 騎 在 朱 紅 色 的 獸 上 . 那 獸 有 七 頭 十 角 、 遍 體 有 褻 瀆 的 名 號 。那 女 人 穿 著 紫 色 和 朱 紅 色 的 衣 服 、 用 金 子 寶 石 珍 珠 為 妝 飾 . 手 拿 金 杯 、 杯 中 盛 滿 了 可 憎 之 物 、 就 是 他 淫 亂 的 污 穢 。在 他 額 上 有 名 寫 著 說 、 奧 秘 哉 、 大 巴 比 倫 、 作 世 上 的 淫 婦 和 一 切 可 憎 之 物 的 母 。」


相關影片(1)2012 榮耀盼望 Vol.05 美國對比大巴比倫

美國歷史上的戰爭與經濟發展美國自獨立以來,所參與的戰 爭和對外的軍事行動多達200多次, 對印第安人的掠奪戰爭就多達百 次以上,僅1945年到1990年,進行的海外戰爭就有124四次,從1991年到二十一世紀,又參加了40多次的海外戰爭。

[These records of crystals were left in the page by mistake]
~~~
[1]
Theoretical powder X-ray diffraction pattern of La2TaMo2N6 for Cu Ka, from a structure optimized by DFT (GGA-PBE).
Intensities are scaled so that the largest is 1000.

Crystal structure
Cell lengths 6.0564, 6.0564, 16.6376 Å; angles 90.00, 90.00, 120.00 degrees
Space group R-3m (No. 166, hexagonal axes)
Inequivalent atoms, fractional coordinates:
La  0.0000  0.0000  0.1964 [6 per cell]
Ta  0.0000  0.0000  0.0000 [3 per cell]
Mo  0.0000  0.0000  0.4292 [6 per cell]
N  0.0262  0.5131  0.7461 [18 per cell]

Main lines, most intense first (2θ from 10° to 90°):
(hkl), 2θ (°), intensity
1 1 0, 29.50, 1000
0 1 5, 31.85, 673
1 2 5, 53.83, 328
2 0 5, 43.96, 273
3 0 0, 52.33, 201
2 2 0, 61.22, 159
3 1 5, 70.67, 134
4 1 0, 84.68, 105
0 1 2, 20.01, 97
1 0 4, 27.37, 89


[2]
Theoretical powder X-ray diffraction pattern of La2TaMoN5 for Cu Ka, from a structure optimized by DFT (GGA-PBE).
Intensities are scaled so that the largest is 1000.

Crystal structure
Cell lengths 3.403, 10.815, 6.997 Å; angles 90.00, 103.68, 90.00 degrees
Space group P2_1 (No. 4)
Inequivalent atoms, fractional coordinates:
La  0.100  0.000  0.216 [2 per cell]
La  0.130  0.387  0.291 [2 per cell]
Ta  0.264  0.673  0.435 [2 per cell]
Mo  0.459  0.226  0.940 [2 per cell]
N  0.059  0.641  0.100 [2 per cell]
N  0.294  0.041  0.563 [2 per cell]
N  0.313  0.296  0.634 [2 per cell]
N  0.388  0.687  0.727 [2 per cell]
N  0.494  0.894  0.985 [2 per cell]

Main lines, most intense first (2θ from 10° to 90°):
(hkl), 2θ (°), intensity
1 3 -1, 36.92, 1000
0 3 1, 28.02, 811
0 2 2, 31.08, 762
1 2 0, 31.74, 554
1 0 -2, 33.03, 433
0 1 3, 40.68, 403
1 1 1, 33.86, 366
2 0 -1, 53.90, 238
1 0 1, 32.80, 227
0 1 2, 27.50, 204


[3]
Theoretical powder X-ray diffraction pattern of La2TmMo2N6 for Cu Ka, from a structure optimized by DFT (GGA-PBE).
Intensities are scaled so that the largest is 1000.

Crystal structure
Cell lengths 5.8148, 5.8148, 18.2427 Å; angles 90.00, 90.00, 120.00 degrees
Space group R-3m (No. 166, hexagonal axes)
Inequivalent atoms, fractional coordinates:
La  0.0000  0.0000  0.2020 [6 per cell]
Tm  0.0000  0.0000  0.0000 [3 per cell]
Mo  0.0000  0.0000  0.3972 [6 per cell]
N  0.0111  0.5056  0.7614 [18 per cell]

Main lines, most intense first (2θ from 10° to 90°):
(hkl), 2θ (°), intensity
0 1 5, 30.25, 1000
1 1 0, 30.75, 918
2 0 5, 43.68, 410
1 2 5, 54.37, 398
1 0 10, 53.42, 218
3 0 0, 54.68, 182
2 1 10, 71.66, 176
3 1 5, 72.46, 162
2 2 0, 64.05, 144
1 1 15, 86.80, 109


[4]
Theoretical powder X-ray diffraction pattern of NaLaTl2Mo for Cu Ka, from a structure optimized by DFT (GGA-PBE).
Intensities are scaled so that the largest is 1000.

Crystal structure
Cell lengths 5.574, 5.574, 5.132 Å; angles 90.00, 90.00, 90.00 degrees
Space group P4/mmm (No. 123)
Inequivalent atoms, fractional coordinates:
Na  0.000  0.000  0.000 [1 per cell]
La  0.500  0.500  0.000 [1 per cell]
Tl  0.000  0.500  0.500 [2 per cell]
Mo  0.500  0.500  0.500 [1 per cell]
~~~
[The page goes on]






相關影片(2) 2012榮耀盼望 Vol.94 



相關影片(3)2012 榮耀盼望 Vol.43 2520,666,巴比倫和美國之關係




共濟會與密碼 11 (911的秘密)




錫安教會主日信息:2012 榮耀盼望 vol.5 :拉線(三) 三條拉線的鑰匙

錫安教會主日信息:2012 榮耀盼望 vol. 43 :星際啟示錄(一) 第四獸

2012 榮耀盼望 vol. 94:星際啟示錄 (四十) 伯利恆之星的奧秘 (三十一) 金燈台詩篇 (21) 9月號Webbot答問篇 (序)
